Exercise:
Could you retype the lines further below up to the one that holds "-2.22167 0.210", that line included?

Excerpt:
=====
7 unconnected molecules or ions with the total composition C30H43F3N4O4 at a distorted geometry, computed with the ωB97M-V functional and the def2-TZVPD basis.

Structure (XYZ):
```
84
Properties=species:S:1:pos:R:3:mulliken_charge:R:1
C 0.33620 -3.59343 -4.01346 0.580
H 0.87455 -1.35726 5.46369 0.440
C -0.38815 -2.21269 0.76613 0.213
C 0.89052 -1.86422 0.40230 -1.119
H 3.60598 3.51008 -3.48549 0.253
H -2.06079 1.09596 3.48800 0.409
H -4.26306 -3.70069 1.86099 0.311
O -3.87906 -3.29915 4.48484 -0.614
H -0.01660 2.19885 -0.46550 0.239
H 1.23888 -4.19997 -0.98582 0.275
N -1.89950 -4.23371 4.29510 -0.106
H -0.82569 3.60472 0.19648 0.385
H -0.63434 -4.73867 2.70217 0.163
N 0.22215 2.09615 1.52830 0.379
H 1.00475 0.24816 7.19264 0.320
F -3.17766 0.30978 -5.37891 -0.323
C -1.28226 1.82147 5.34384 0.533
H 2.13350 -0.80372 -1.05383 0.384
H 0.94749 1.88032 -4.69629 0.402
C 3.75682 4.11252 -1.57839 0.710
H 3.25949 1.14429 -3.22512 0.352
H 3.89663 5.59761 -3.09114 0.403
C 3.70108 5.47236 -2.02617 -1.170
H -0.14806 -5.21593 -1.58104 0.291
C -1.89439 3.18343 -3.40069 -0.487
C -3.10491 -3.88990 3.82203 0.665
O 3.84836 3.95082 -0.36261 -0.635
H 0.56066 -2.19812 -5.64179 0.394
F -2.00966 2.99908 5.29618 -0.345
H -1.13959 -2.56058 -5.10995 0.251
H -0.12197 2.50605 7.10790 0.455
H -2.09335 -0.48510 -1.63519 0.342
H -0.01450 -2.74550 -2.22167 0.210
H -0.83045 -1.20208 3.69659 0.560
H -1.54353 -3.88849 5.17499 0.253
H 0.17700 3.73741 -3.16292 0.488
H 2.02039 4.63546 2.69228 0.350
O 2.02804 2.07922 2.78154 -0.656
H 0.07561 1.13327 1.79567 -0.139
C -0.61109 2.55147 0.37732 -1.035
C 0.76020 -4.67327 -1.84312 -0.936
H -4.00975 -5.29436 2.47245 0.330
C -0.98952 1.16264 -5.06929 -0.550
H -0.63934 -2.95790 1.50637 -0.158
F -2.72879 -2.05164 0.31361 -0.335
C -0.08464 2.02547 -4.41338 -0.271
C -1.24741 -0.79970 -1.04205 -0.846
H 4.60422 5.93131 -1.62392 0.348
H -1.54426 1.98943 0.33993 0.320
H -0.72965 0.34277 -5.72249 0.525
H 1.46441 -5.40331 -2.24215 0.364
H -1.52651 -6.19461 3.38380 0.290
H 3.14942 1.38849 -1.47498 0.074
C -0.71954 -0.37620 4.38363 -0.060
C -2.82307 2.31292 -4.06645 -0.477
C -1.44217 0.88006 4.34654 -0.565
C 1.14114 -1.02387 -0.68891 -0.236
H 0.33678 0.28232 -2.11662 0.172
N 0.33578 -3.55364 -2.71594 -0.056
C -1.47906 -1.71471 0.01282 1.122
C -2.35801 1.28005 -4.86431 0.216
C 0.07855 -0.47378 -1.38996 -0.204
C 0.28490 0.44871 6.41289 -0.442
H 0.01325 -1.37034 -4.32220 -0.076
C 0.22070 -0.50177 5.37986 -0.682
N 3.66911 3.13459 -2.55001 -0.107
H 4.66019 1.28509 -2.11282 0.371
H -2.33660 3.96202 -2.79682 0.429
H 2.79096 5.97847 -1.70422 0.239
H -2.74990 -4.24577 1.66396 0.170
H -0.25330 -5.43262 4.24965 0.352
H 1.71478 -2.40885 0.83861 0.534
C -1.08075 -5.21814 3.57332 -0.817
C 1.24726 2.71731 2.11626 0.841
H 0.42793 4.65269 2.01103 0.380
C 1.41189 4.19671 1.90150 -1.116
H -3.89087 2.39730 -3.92830 0.409
O 0.59208 -4.59463 -4.65848 -0.684
C -0.51559 3.00504 -3.55066 -0.371
C -0.11774 -2.34091 -4.80067 -0.550
C 3.68185 1.68555 -2.37851 -0.813
C -3.54413 -4.31095 2.40764 -0.959
C -0.36166 1.71601 6.41163 -0.605
H 1.94727 4.48707 0.99753 0.048
```

For the electronic energy, the calculation gives -1988.4839 Eh. As for the lowest unoccupied orbital energy: 0.24 eV. The structure (SMILES) is Fc1ccccc1.Fc1ccccc1.Fc1ccccc1.CNC(C)=O.CNC(C)=O.CNC(C)=O.CNC(C)=O. Its HOMO-LUMO gap is 9.2 eV.


A molecular structure, C30H43F5P2ReS at a distorted geometry, computed with the ωB97M-V functional and the def2-TZVPD basis.

Structure (XYZ):
```
82
Properties=species:S:1:pos:R:3:mulliken_charge:R:1
H 2.29203 -0.26962 -1.46857 0.169
H 1.32105 0.98332 -5.87100 0.353
H 0.72565 -1.94512 -5.24984 0.466
H 2.38860 0.24182 0.22289 0.354
H -0.15329 -2.08161 -2.12560 -1.548
H -2.87863 0.09105 -5.23567 0.429
H 1.63819 4.69198 -4.24835 0.555
C 0.27039 -3.08254 -1.91018 1.852
F -0.35723 -2.57120 5.06866 -0.266
H 1.18953 4.40242 -5.93829 0.492
H 1.84110 4.60761 -1.02102 0.380
H 2.15619 3.19036 -5.05493 0.484
C -1.52032 -4.54953 4.43473 0.623
=====

Result:
7 unconnected molecules or ions with the total composition C30H43F3N4O4 at a distorted geometry, computed with the ωB97M-V functional and the def2-TZVPD basis.

Structure (XYZ):
```
84
Properties=species:S:1:pos:R:3:mulliken_charge:R:1
C 0.33620 -3.59343 -4.01346 0.580
H 0.87455 -1.35726 5.46369 0.440
C -0.38815 -2.21269 0.76613 0.213
C 0.89052 -1.86422 0.40230 -1.119
H 3.60598 3.51008 -3.48549 0.253
H -2.06079 1.09596 3.48800 0.409
H -4.26306 -3.70069 1.86099 0.311
O -3.87906 -3.29915 4.48484 -0.614
H -0.01660 2.19885 -0.46550 0.239
H 1.23888 -4.19997 -0.98582 0.275
N -1.89950 -4.23371 4.29510 -0.106
H -0.82569 3.60472 0.19648 0.385
H -0.63434 -4.73867 2.70217 0.163
N 0.22215 2.09615 1.52830 0.379
H 1.00475 0.24816 7.19264 0.320
F -3.17766 0.30978 -5.37891 -0.323
C -1.28226 1.82147 5.34384 0.533
H 2.13350 -0.80372 -1.05383 0.384
H 0.94749 1.88032 -4.69629 0.402
C 3.75682 4.11252 -1.57839 0.710
H 3.25949 1.14429 -3.22512 0.352
H 3.89663 5.59761 -3.09114 0.403
C 3.70108 5.47236 -2.02617 -1.170
H -0.14806 -5.21593 -1.58104 0.291
C -1.89439 3.18343 -3.40069 -0.487
C -3.10491 -3.88990 3.82203 0.665
O 3.84836 3.95082 -0.36261 -0.635
H 0.56066 -2.19812 -5.64179 0.394
F -2.00966 2.99908 5.29618 -0.345
H -1.13959 -2.56058 -5.10995 0.251
H -0.12197 2.50605 7.10790 0.455
H -2.09335 -0.48510 -1.63519 0.342
H -0.01450 -2.74550 -2.22167 0.210